Listing >
┌──
# 1
36
Properties=species:S:1:pos:R:3:forces:R:3 method="wB97M-V/def2-TZVPD" charge=+1 homo_ev=-10.6 relative_energy_kj_mol=0.0 gap_ev=6.14
C -0.949 -2.237 -3.420 -0.23 0.29 0.21
S -2.179 -1.369 -2.348 0.07 -1.00 0.81
C -3.419 -2.755 -2.398 0.00 0.40 -0.15
C -1.503 -1.448 -0.753 0.27 -0.93 -1.35
C -1.761 -0.560 0.279 -1.33 0.93 2.70
N -1.973 0.040 1.287 0.26 -1.73 -2.96
H 0.013 -1.719 -3.319 -0.34 -0.20 0.05
H -0.894 -3.283 -3.084 0.13 0.44 -0.11
H -1.294 -2.189 -4.465 0.03 -0.01 0.47
H -4.258 -2.492 -1.735 0.42 0.00 -0.28
H -3.774 -2.871 -3.436 0.16 0.02 0.46
H -2.928 -3.675 -2.039 -0.14 0.44 -0.15
H -1.203 -2.481 -0.523 -0.01 0.63 0.24
C 1.613 -1.419 4.134 -0.15 0.80 -0.75
C 2.472 -1.469 3.023 -0.03 0.09 0.24
C 2.227 -0.681 1.907 -0.09 0.28 0.19
C 1.138 0.218 1.892 -0.16 -0.39 0.03
C 0.910 1.109 0.748 -0.22 0.79 0.29
S -0.392 2.186 0.867 0.73 0.36 0.39
C -0.248 3.382 -0.487 -0.20 -0.07 -0.03
C 1.163 3.762 -0.886 -0.13 -0.28 -0.05
C 1.802 2.554 -1.547 -0.17 -0.09 -0.61
S 1.990 1.023 -0.558 0.47 0.28 0.08
C 0.279 0.259 3.010 0.05 0.21 0.01
C 0.502 -0.561 4.104 0.26 -0.10 0.21
H 1.854 -1.959 5.035 -0.06 -0.23 0.03
H 3.382 -2.068 3.070 -0.34 0.04 -0.09
H 2.922 -0.685 1.073 -0.06 -0.16 0.19
H -0.777 2.909 -1.325 0.04 0.42 0.03
H -0.815 4.253 -0.134 0.03 -0.37 -0.05
H 1.083 4.563 -1.637 0.18 -0.24 0.17
H 1.751 4.146 -0.045 -0.14 -0.14 -0.10
H 1.171 2.221 -2.386 0.39 0.39 0.06
H 2.808 2.802 -1.916 -0.26 -0.37 0.16
H -0.548 0.971 3.041 0.29 -0.39 0.02
H -0.163 -0.476 4.969 0.28 -0.12 -0.34

# 2
37
Properties=species:S:1:pos:R:3:forces:R:3 method="wB97M-V/def2-TZVPD" charge=0 homo_ev=-8.3 relative_energy_kj_mol=79.9 smiles=Cc1ccc2c(c1O)OC[C@]1(O)[C@H](O)[C@H](O)C[C@]21C gap_ev=8.83
O -2.431 -2.088 -2.248 -0.05 -0.01 0.35
O -2.071 -0.308 -0.263 -0.36 -0.25 -0.20
O -1.210 3.489 1.448 -0.43 -0.65 -0.04
O -1.410 0.194 2.463 0.35 0.31 -0.15
O 1.220 3.881 0.833 -0.05 0.59 -0.04
C 1.237 -2.364 -1.837 -0.87 0.82 0.81
C 1.384 -1.400 -0.799 0.85 -1.27 -1.05
C -1.161 -1.908 -1.783 1.27 -0.41 -0.31
C -0.987 -0.986 -0.753 2.28 0.17 -0.04
C -0.021 -2.621 -2.350 -1.69 1.13 0.60
C 0.326 -0.717 -0.265 -1.59 0.22 0.33
C -0.179 -3.573 -3.499 -1.04 -0.86 0.16
C 1.313 -0.375 2.015 0.07 0.36 0.58
C -1.829 0.996 0.255 0.04 0.94 0.49
C 1.309 1.521 0.395 0.38 -0.17 0.24
C 0.522 0.285 0.878 0.59 0.37 -0.17
C -0.414 2.394 1.909 -0.75 -0.21 -0.11
C -0.799 0.954 1.399 -1.04 -0.90 -0.03
C 1.000 2.611 1.413 1.41 -0.09 0.58
H -2.979 -1.576 -1.620 -0.05 -0.23 -0.57
H -0.780 3.864 0.653 -0.12 -0.31 0.58
H -1.801 -0.608 2.080 0.16 0.32 0.03
H 1.119 4.565 1.519 0.09 -0.39 -0.34
H 2.048 -2.954 -2.257 0.20 0.40 0.26
H 2.384 -1.237 -0.422 0.03 0.12 0.10
H -1.192 -3.555 -3.966 0.84 0.22 0.33
H 0.589 -3.412 -4.241 0.10 0.24 -0.35
H -0.029 -4.609 -3.154 -0.11 0.26 -0.01
H 0.796 -1.263 2.379 0.21 -0.05 -0.01
H 2.360 -0.600 1.749 -0.59 -0.14 -0.24
H 1.406 0.318 2.862 -0.21 -0.13 -0.05
H -2.819 1.344 0.626 0.85 -0.13 -0.20
H -1.453 1.713 -0.493 -0.30 -0.50 -0.26
H 0.957 1.794 -0.600 0.09 0.29 -0.03
H 2.394 1.329 0.360 -0.41 0.03 -0.25
H -0.451 2.363 3.016 -0.23 0.16 -0.59
H 1.653 2.536 2.299 0.09 -0.24 -0.40

# 3
43
Properties=species:S:1:pos:R:3:forces:R:3 method="wB97M-V/def2-TZVPD" charge=+1 homo_ev=-10.7 gap_ev=7.95
Ga 0.000 0.000 0.000 0.46 0.08 -3.93
S -0.292 -2.365 -0.486 0.22 -0.75 -0.78
S -0.338 2.381 -0.388 0.19 0.74 -0.77
C 0.830 -3.423 0.480 0.04 0.36 -0.10
C 0.473 -2.410 -2.166 -0.39 -0.17 0.48
C 1.291 -1.176 -2.467 0.15 0.01 0.01
N 0.493 0.031 -2.186 -0.06 -0.01 0.46
C 1.166 1.304 -2.495 0.15 -0.01 0.03
C 0.262 2.459 -2.130 -0.35 0.16 0.50
H -0.356 -2.511 -2.864 -0.06 0.02 -0.06
H 1.073 -3.312 -2.248 0.06 -0.05 0.03
H 1.617 -1.207 -3.512 -0.05 0.09 0.02
H 2.181 -1.136 -1.845 0.15 0.00 0.12
H 1.428 1.371 -3.556 -0.05 -0.10 0.02
H 2.091 1.339 -1.927 0.16 0.00 0.12
H -0.636 2.464 -2.745 -0.07 -0.03 -0.06
H 0.759 3.414 -2.280 0.06 0.06 0.02
C 0.908 3.383 0.482 -0.03 -0.33 -0.12
H -0.351 -0.017 -2.753 -0.23 -0.01 0.13
H 1.904 2.974 0.358 0.10 -0.09 0.01
└──
What to do >
Restate the contents earlier on from the line with "1.613 -1.419" to the end without additions.
Completed >
C 1.613 -1.419 4.134 -0.15 0.80 -0.75
C 2.472 -1.469 3.023 -0.03 0.09 0.24
C 2.227 -0.681 1.907 -0.09 0.28 0.19
C 1.138 0.218 1.892 -0.16 -0.39 0.03
C 0.910 1.109 0.748 -0.22 0.79 0.29
S -0.392 2.186 0.867 0.73 0.36 0.39
C -0.248 3.382 -0.487 -0.20 -0.07 -0.03
C 1.163 3.762 -0.886 -0.13 -0.28 -0.05
C 1.802 2.554 -1.547 -0.17 -0.09 -0.61
S 1.990 1.023 -0.558 0.47 0.28 0.08
C 0.279 0.259 3.010 0.05 0.21 0.01
C 0.502 -0.561 4.104 0.26 -0.10 0.21
H 1.854 -1.959 5.035 -0.06 -0.23 0.03
H 3.382 -2.068 3.070 -0.34 0.04 -0.09
H 2.922 -0.685 1.073 -0.06 -0.16 0.19
H -0.777 2.909 -1.325 0.04 0.42 0.03
H -0.815 4.253 -0.134 0.03 -0.37 -0.05
H 1.083 4.563 -1.637 0.18 -0.24 0.17
H 1.751 4.146 -0.045 -0.14 -0.14 -0.10
H 1.171 2.221 -2.386 0.39 0.39 0.06
H 2.808 2.802 -1.916 -0.26 -0.37 0.16
H -0.548 0.971 3.041 0.29 -0.39 0.02
H -0.163 -0.476 4.969 0.28 -0.12 -0.34

# 2
37
Properties=species:S:1:pos:R:3:forces:R:3 method="wB97M-V/def2-TZVPD" charge=0 homo_ev=-8.3 relative_energy_kj_mol=79.9 smiles=Cc1ccc2c(c1O)OC[C@]1(O)[C@H](O)[C@H](O)C[C@]21C gap_ev=8.83
O -2.431 -2.088 -2.248 -0.05 -0.01 0.35
O -2.071 -0.308 -0.263 -0.36 -0.25 -0.20
O -1.210 3.489 1.448 -0.43 -0.65 -0.04
O -1.410 0.194 2.463 0.35 0.31 -0.15
O 1.220 3.881 0.833 -0.05 0.59 -0.04
C 1.237 -2.364 -1.837 -0.87 0.82 0.81
C 1.384 -1.400 -0.799 0.85 -1.27 -1.05
C -1.161 -1.908 -1.783 1.27 -0.41 -0.31
C -0.987 -0.986 -0.753 2.28 0.17 -0.04
C -0.021 -2.621 -2.350 -1.69 1.13 0.60
C 0.326 -0.717 -0.265 -1.59 0.22 0.33
C -0.179 -3.573 -3.499 -1.04 -0.86 0.16
C 1.313 -0.375 2.015 0.07 0.36 0.58
C -1.829 0.996 0.255 0.04 0.94 0.49
C 1.309 1.521 0.395 0.38 -0.17 0.24
C 0.522 0.285 0.878 0.59 0.37 -0.17
C -0.414 2.394 1.909 -0.75 -0.21 -0.11
C -0.799 0.954 1.399 -1.04 -0.90 -0.03
C 1.000 2.611 1.413 1.41 -0.09 0.58
H -2.979 -1.576 -1.620 -0.05 -0.23 -0.57
H -0.780 3.864 0.653 -0.12 -0.31 0.58
H -1.801 -0.608 2.080 0.16 0.32 0.03
H 1.119 4.565 1.519 0.09 -0.39 -0.34
H 2.048 -2.954 -2.257 0.20 0.40 0.26
H 2.384 -1.237 -0.422 0.03 0.12 0.10
H -1.192 -3.555 -3.966 0.84 0.22 0.33
H 0.589 -3.412 -4.241 0.10 0.24 -0.35
H -0.029 -4.609 -3.154 -0.11 0.26 -0.01
H 0.796 -1.263 2.379 0.21 -0.05 -0.01
H 2.360 -0.600 1.749 -0.59 -0.14 -0.24
H 1.406 0.318 2.862 -0.21 -0.13 -0.05
H -2.819 1.344 0.626 0.85 -0.13 -0.20
H -1.453 1.713 -0.493 -0.30 -0.50 -0.26
H 0.957 1.794 -0.600 0.09 0.29 -0.03
H 2.394 1.329 0.360 -0.41 0.03 -0.25
H -0.451 2.363 3.016 -0.23 0.16 -0.59
H 1.653 2.536 2.299 0.09 -0.24 -0.40

# 3
43
Properties=species:S:1:pos:R:3:forces:R:3 method="wB97M-V/def2-TZVPD" charge=+1 homo_ev=-10.7 gap_ev=7.95
Ga 0.000 0.000 0.000 0.46 0.08 -3.93
S -0.292 -2.365 -0.486 0.22 -0.75 -0.78
S -0.338 2.381 -0.388 0.19 0.74 -0.77
C 0.830 -3.423 0.480 0.04 0.36 -0.10
C 0.473 -2.410 -2.166 -0.39 -0.17 0.48
C 1.291 -1.176 -2.467 0.15 0.01 0.01
N 0.493 0.031 -2.186 -0.06 -0.01 0.46
C 1.166 1.304 -2.495 0.15 -0.01 0.03
C 0.262 2.459 -2.130 -0.35 0.16 0.50
H -0.356 -2.511 -2.864 -0.06 0.02 -0.06
H 1.073 -3.312 -2.248 0.06 -0.05 0.03
H 1.617 -1.207 -3.512 -0.05 0.09 0.02
H 2.181 -1.136 -1.845 0.15 0.00 0.12
H 1.428 1.371 -3.556 -0.05 -0.10 0.02
H 2.091 1.339 -1.927 0.16 0.00 0.12
H -0.636 2.464 -2.745 -0.07 -0.03 -0.06
H 0.759 3.414 -2.280 0.06 0.06 0.02
C 0.908 3.383 0.482 -0.03 -0.33 -0.12
H -0.351 -0.017 -2.753 -0.23 -0.01 0.13
H 1.904 2.974 0.358 0.10 -0.09 0.01